1. 英語で雑談!Kevin’s English Room Podcast
  2. 家の鍵を無くしたケビン
2022-09-03 12:14



Okay, all right. I'm just gonna give it a buffer. All right, welcome to Kevin's English
Room Podcast! The reason why we did that at the very beginning is because we've been having
audio problems, you know, again. The problem never ends. We're using such a sophisticated
machine and it never stops. Why? Why? We've got this high quality microphones. I know.
It's high quality, what do you call it? Audio mixer. Mixer. Tascam. And we're using an Apple
product. Yeah. What can go wrong here? I'm sure you guys are aware of our recent audio
shitty quality of this little, at the very beginning of the podcast. I'm so sorry about
that guys. It's not Kevin who did that. Yeah, it's the machine. It's the machine. It wasn't
he did that like, I didn't do that. Man. Not his fault. You've got one hell of a long ass
microphone. Yeah. That is a very long mic stand. That's another problem. Yeah, that
is such a long microphone stand. It's like, well not as double as mine, but like 0.5?
Yeah. Well this part is, you know, unnecessary at all. Yeah, you've got an unnecessary part
right there that's lengthening your mic stand. Yeah. What's up with that, right? Yeah. What's
[Between two parts of the entry: data records]
____________
1.
Molecular formula: C7H12N2O
Method: DFT, the ωB97M-V functional and the def2-TZVPD basis

XYZ file:
```
22
C7H12N2O | the Open Molecules 2025 dataset | the ωB97M-V functional and the def2-TZVPD basis
C -1.2615 -1.2959 0.5022
C 2.0868 0.6089 0.4782
C -1.1638 1.2068 0.3059
C 0.1472 1.4453 -0.4869
C -1.7988 -0.1315 0.2230
C -3.3295 -0.1680 0.0145
C 3.4505 -0.8910 -0.5362
N 1.1528 0.4359 -0.3210
N -1.0081 -2.4045 0.8929
O 3.2999 -0.0223 0.4850
H -0.7944 1.4343 1.3400
H -1.8370 1.9116 0.1045
H -0.1180 1.3471 -1.5419
H 0.5018 2.4201 -0.3694
H 2.0792 1.4893 1.2509
H -3.5875 -0.7628 -0.9884
H -3.8619 0.7860 0.0050
H -3.7850 -0.7125 0.8029
H 2.8984 -0.5709 -1.5174
H 3.0972 -2.0063 -0.2864
H 4.5491 -0.9822 -0.6720
H -0.7173 -3.1373 0.3146
```

Multiplicity: 1
HOMO-LUMO gap in eV: 8.9
SMILES: CO/C=N/CCC(C)=C=N

Atomic partial charges in e from the Mulliken method, atoms 1 to 2: 0.57 0.19

---

2.
Molecular formula: C7H12N2O2
Method: DFT, the ωB97M-V functional and the def2-TZVPD basis

XYZ file:
```
23
C7H12N2O2 | the Open Molecules 2025 dataset | the ωB97M-V functional and the def2-TZVPD basis
O -3.0677 1.0176 -0.2939
N 0.9197 0.3124 -2.3841
O -2.4224 0.0509 -2.2226
C -2.1831 0.6676 -1.0171
C -0.2523 0.1720 -1.9288
N -1.2771 -0.2258 -2.7842
C 2.0104 -1.1342 1.7753
C -0.8327 0.3548 1.8315
C -0.6401 0.6965 -0.6382
C 1.4247 -0.0964 0.7931
C -0.1553 -0.1717 0.6059
H 1.0267 -0.1162 -3.2945
H -1.1334 -0.0084 -3.7694
H 3.0133 -1.1617 1.5795
H 1.9264 -0.8230 2.8136
H 1.7334 -2.1812 1.5909
H -0.5155 -0.1367 2.7614
H -0.5452 1.3548 2.0307
H -1.9529 0.2422 1.9048
H -0.2554 1.8106 -0.5807
H 1.8741 -0.3733 -0.1546
H 1.7460 0.9634 0.8983
H -0.4415 -1.2143 0.4831
```

Multiplicity: 1
HOMO-LUMO gap in eV: 9.7
SMILES: [H]/N=C1\NOC(=O)[C@H]1[C@H](C)CC

Atomic partial charges in e from the Mulliken method, atoms 1 to 2: -0.52 -0.68

---

Energy relative to the best compared isomer or geometry (same formula, charge and spin) for the records above, in order: 86.0 87.0 kcal per mole

----------

[1]
C2H4Cl2N2 | the ωB97M-V functional and the def2-TZVPD basis

```
10
Properties=species:S:1:pos:R:3:forces:R:3:lowdin_charge:R:1
Cl -1.130 0.996 -2.060 -0.059 -0.167 -0.658 0.631
Cl -0.369 -1.828 -1.179 -0.776 -1.681 -1.086 0.673
N -0.609 1.638 0.397 -0.960 0.324 1.188 0.077
N 0.484 -0.997 1.107 -0.610 -2.143 -2.549 0.002
C -0.452 0.766 -0.481 -0.787 -0.038 0.922 -0.875
C 0.207 -0.588 -0.205 5.380 2.907 -0.707 -0.923
H 1.629 -0.249 -0.782 -3.494 -0.638 0.845 0.191
H 1.159 -1.757 1.113 -0.357 0.609 0.504 0.093
H -1.326 2.406 0.253 1.658 -1.106 -0.463 0.091
H 0.407 -0.387 1.836 0.004 1.934 2.004 0.041
```
Positions in Å, forces in eV/Å.

LUMO level in eV: 0.3
Energy relative to the best compared isomer or geometry (same formula, charge and spin) in kcal per mole: 49.4
Charge: 0
DFT total energy in Eh: -1108.41674


[2]
C2H4Cl2N6 | the ωB97M-V functional and the def2-TZVPD basis

```
14
Properties=species:S:1:pos:R:3:forces:R:3:lowdin_charge:R:1
____________
[End of the data records]
up with that? Maybe just, you know. Hold it? Yeah. Yeah? Well like, I can maybe. I don't
know. I don't know. Because you know, since you've tried it. True. Didn't work. Oh, how
== Inserted here: calculated molecules ==
-- begin --
# 1
102
Properties=species:S:1:pos:R:3:lowdin_charge:R:1 method="wB97M-V/def2-TZVPD" e_homo_ev="-10.52 / -10.52" energy_ev=-107773.17962 e_lumo_ev="-4.8 / -4.1" spin_multiplicity=5 charge=+1
Cr 2.420 1.844 0.011 1.16
O 0.335 -1.385 -1.209 0.12
C 0.918 -0.173 -0.824 -0.77
O 1.500 -0.072 0.237 -0.03
O 1.032 0.851 -1.438 0.03
H 0.579 -1.829 -0.394 0.06
F 1.192 3.727 -0.949 0.01
C 0.429 4.851 -1.063 -0.26
C 0.217 5.663 0.038 -0.02
C -0.595 6.768 -0.042 -0.06
C -1.151 7.135 -1.260 -0.09
C -0.954 6.389 -2.414 -0.04
C -0.151 5.211 -2.260 -0.01
H 0.677 5.331 0.958 0.10
H -0.908 7.425 0.757 0.11
H -1.734 8.039 -1.352 0.11
H -1.336 6.706 -3.374 0.11
H -0.061 4.565 -3.120 0.12
F 1.183 2.513 1.568 -0.04
C -0.009 2.533 2.238 -0.24
C -0.345 3.684 2.934 -0.03
C -1.586 3.755 3.524 -0.05
C -2.558 2.739 3.361 -0.04
C -2.269 1.634 2.557 -0.04
C -0.988 1.560 1.989 0.01
H 0.451 4.411 3.011 0.12
H -1.749 4.629 4.137 0.11
H -3.536 2.888 3.793 0.11
H -3.002 0.878 2.314 0.10
H -0.802 0.753 1.295 0.11
F 3.753 0.905 1.657 0.02
C 4.867 1.024 2.368 -0.29
C 6.073 0.483 1.904 0.01
C 7.231 0.687 2.660 -0.07
C 7.210 1.309 3.908 -0.06
C 5.975 1.817 4.388 -0.03
C 4.824 1.722 3.561 -0.01
H 6.118 0.033 0.923 0.12
H 8.202 0.311 2.373 0.11
H 8.119 1.470 4.470 0.11
H 5.831 2.357 5.313 0.11
H 3.861 2.152 3.795 0.10
F -4.028 -0.600 0.197 0.07
C -3.825 0.588 -0.376 -0.32
C -2.732 0.697 -1.198 -0.03
C -2.464 1.899 -1.805 -0.06
C -3.298 3.011 -1.589 -0.08
C -4.339 2.923 -0.700 -0.07
C -4.620 1.696 -0.109 -0.02
H -2.128 -0.193 -1.295 0.11
H -1.597 2.114 -2.412 0.09
H -3.038 3.945 -2.064 0.09
H -4.925 3.782 -0.406 0.11
H -5.419 1.516 0.594 0.12
F -0.058 -2.967 0.690 0.02
C 0.477 -4.217 0.781 -0.26
C 0.509 -4.826 2.041 0.00
C 0.970 -6.194 2.126 -0.06
C 1.385 -6.852 0.970 -0.08
C 1.359 -6.226 -0.308 -0.04
C 0.850 -4.909 -0.396 -0.02
H 0.177 -4.303 2.926 0.11
H 0.963 -6.553 3.145 0.10
H 1.680 -7.884 1.087 0.10
H 1.661 -6.740 -1.209 0.11
H 0.577 -4.483 -1.350 0.09
F -2.774 0.215 -8.254 0.06
C -2.270 -0.205 -7.079 -0.27
C -2.398 -1.563 -6.757 0.02
C -1.698 -2.061 -5.605 -0.05
C -1.005 -1.163 -4.826 -0.11
C -0.910 0.186 -5.145 -0.10
C -1.475 0.650 -6.296 -0.02
H -2.892 -2.213 -7.465 0.11
H -1.757 -3.088 -5.273 0.08
H -0.566 -1.465 -3.887 0.09
H -0.306 0.750 -4.450 0.09
H -1.324 1.680 -6.582 0.11
F -2.555 -6.268 -4.717 0.06
C -2.837 -5.216 -3.933 -0.28
C -4.053 -4.518 -4.163 -0.01
C -4.356 -3.486 -3.317 -0.08
C -3.480 -3.172 -2.276 -0.08
C -2.297 -3.870 -2.089 -0.08
C -1.936 -4.942 -2.927 0.00
H -4.840 -4.842 -4.827 0.12
H -5.282 -2.940 -3.412 0.11
H -3.700 -2.317 -1.654 0.08
H -1.696 -3.573 -1.241 0.08
H -1.030 -5.473 -2.673 0.10
F 1.882 1.537 4.794 0.04
C 2.153 0.212 4.861 -0.27
C 1.809 -0.533 3.758 -0.02
C 2.227 -1.877 3.653 -0.08
C 2.864 -2.529 4.662 -0.09
C 3.146 -1.801 5.834 -0.06
C 2.837 -0.429 5.969 0.02
H 1.214 -0.075 2.982 0.09
H 2.112 -2.453 2.747 0.09
H 3.169 -3.550 4.486 0.11
H 3.578 -2.379 6.638 0.10
H 3.046 0.256 6.778 0.11

=====

# 2
38
-- stop --
about if I just take this out? Yeah, if you can. Right, so that was a problem. Yeah. Can't
take it out. It's really hard. I can't take it out. Yeah. Nope. Yeah. Nope. Okay. Can't
do it. So this. No problem. Wow. Okay. Alright. Alright. Yeah. Yeah. There you go. How was
your day man? How was your day? Oh great. Or your week? Week, right. We did play football
together. Oh yes we did. Yes we did. And. It's getting more and more intense and I love
_Between two parts of the article: calculated molecules_
/*
No. 1
ORCA calculation (ωB97M-V with the def2-TZVPD basis set) on a structure of composition C11H10ClNSV in a non-equilibrium geometry.

Atoms and positions in Å:
C1 0.911 -2.059 0.843
C2 0.995 -1.751 -0.553
C3 -0.327 -1.667 -1.075
H1 1.898 -1.773 -1.157
C4 -1.263 -1.860 0.024
C5 -0.477 -2.186 1.192
H2 -0.824 -2.644 2.113
H3 1.727 -2.380 1.504
H4 -0.605 -1.655 -2.136
H5 -2.352 -1.853 -0.090
V1 -0.099 -0.238 0.473
Cl1 1.293 1.545 -0.072
C6 0.110 2.885 -4.602
C7 -1.124 2.243 -4.946
C8 -0.813 1.004 -5.595
H6 -2.126 2.640 -4.771
C9 0.614 0.881 -5.653
C10 1.184 2.044 -5.040
H7 2.250 2.262 -4.948
H8 0.214 3.856 -4.115
H9 -1.534 0.291 -6.000
H10 1.168 0.058 -6.112
S1 -0.009 0.045 5.094
C11 -0.353 0.142 3.579
N1 -0.455 0.174 2.376

Calculated values
2S+1 = 4
Gap between HOMO and LUMO (alpha / beta) = 4.91 / 4.90 eV
Energy = -62104.8641 eV
HOMO level (alpha / beta) = -0.313 / -0.313 eV
ΔE to the lowest compared entry with this formula, charge and spin = 0.000 eV
Net charge = -2
F_max = 0.1313 hartree/bohr

No. 2
ORCA calculation (ωB97M-V with the def2-TZVPD basis set) on a cluster of 6 separate species, C4H19NO5 in total in a non-equilibrium geometry.

Atoms and positions in Å:
C1 1.927 -1.200 -0.382
C2 0.657 -1.525 0.364
C3 -0.523 -1.535 -0.301
N1 -1.792 -1.253 0.235
C4 -2.053 -1.548 1.639
H1 2.776 -1.933 -0.197
H2 1.646 -1.065 -1.453
H3 2.202 -0.211 -0.094
H4 0.853 -1.744 1.412
H5 -0.472 -1.598 -1.367
H6 -2.518 -1.666 -0.339
H7 -1.959 -0.701 2.308
H8 -3.099 -1.788 1.830
H9 -1.347 -2.324 1.863
H10 -0.777 2.427 -0.428
H11 -0.127 1.468 0.545
O1 -0.013 2.363 0.188
H12 1.873 1.979 -0.995
H13 3.418 1.583 -0.636
O2 2.808 2.024 -1.238
H14 -2.119 1.102 -1.190
H15 -1.586 1.644 -2.625
O3 -1.904 1.867 -1.737
H16 1.331 1.119 -2.546
H17 0.305 -0.006 -3.035
O4 0.444 0.923 -2.850
H18 -0.487 1.098 3.397
H19 0.718 0.281 3.983
O5 -0.180 0.221 3.647

Calculated values
Gap between HOMO and LUMO = 8.69 eV
Energy = -16182.5661 eV
HOMO level = -8.190 eV
ΔE to the lowest compared entry with this formula, charge and spin = 1.700 eV
Net charge = 0
F_max = 0.0433 hartree/bohr

No. 3
ORCA calculation (ωB97M-V with the def2-TZVPD basis set) on a cluster of 2 separate species, C4H4N2O in total in a non-equilibrium geometry.

Atoms and positions in Å:
N1 1.155 1.652 -0.669
C1 1.011 0.773 -1.474
C2 -0.885 -0.803 -0.300
C3 -0.564 -0.565 0.913
C4 -0.075 -0.369 2.109
N2 -1.577 -1.048 -1.286
O1 1.204 0.063 -2.372
H1 0.566 2.147 -0.036
H2 -1.105 -1.303 -2.148
H3 -0.716 -0.134 2.949
H4 0.987 -0.413 2.313

Calculated values
Gap between HOMO and LUMO = 8.73 eV
Energy = -9237.4940 eV
HOMO level = -9.012 eV
ΔE to the lowest compared entry with this formula, charge and spin = 2.994 eV
Net charge = 0
F_max = 0.0336 hartree/bohr


(1)
The following is a DFT calculation (ωB97M-V/def2-TZVPD) of a cluster of 3 separate species, C17H22N2O4 in total in a non-equilibrium geometry.
*/
it. Yeah. See, I was sad at the field that I couldn't play well. I mean, I couldn't move
my body as I wanted. Because we played some sort of a game, right? Yeah. Two on one. Yeah.
You brought the goal for us. Yeah, the two goals, yeah. Yeah. And we played a simple game
of two on one. Yeah. It was fun. It was fun. It was really like, I loved it. Yeah. It was
the thing that I wanted. Yeah, yeah, yeah. But you were disappointed? I mean, I couldn't
play as I wanted to play. So my body is, you know, I completely felt that, you know, my
like abilities now it's like gone. So I have to, you know, bring that back. So not only
your power, like your. Yeah, like the power of course, muscles, powers, techniques, you
know, the touches and also like the, you know, stamina is gone. Stamina is gone. Completely
gone. Yeah. I couldn't like just chase you. You were too tired? Yeah, I was too tired.
It was just, oh, come on. Yeah. Imagine I played like 90 minutes the full game. That
would have been devastating. You know, much larger, you know, play field. You know, that
would be devastating. Yeah. And now I couldn't chase you in that small, just tiny field.
It was like a fourth of a field. Yeah. Or even smaller, I guess. Yeah. Eighth of a field,
right? I was sad. I mean, that's why we're doing this on a regular basis, right? That's
why we're doing it every, every, we're trying every week. That's why we're doing twice a
month right now. Yeah. Sure. Yeah. Take back those old days. To bring back the old days.
Yeah. Exactly right. That's right. We'll get there. Yeah. Yeah. Sure we'll get there. Yeah.
And I'm feeling you're getting better at playing football, no? It's good. It's good.
It's good. Like I remember the first day you, you even couldn't like kick the ball. Yeah,
yeah, yeah, yeah. You know. Right. I feel like, um, I still do need to work on my formation.
Okay. You know? The form? Yeah. The kicking form? Like the proper way to kick. Yeah, yeah,
yeah. I still need to work on that. But like, I feel like I'm getting more and more capable.
Yeah, yeah, yeah. Doing more things. Yeah. What I surprised at was the, the, the ball
control. You really good at ball controlling. Oh, when we did the two on one? Or yeah, well
like just in general. Simple passes, you know. Oh, thank you. Yeah, it was just, we just
kick the balls to you like normally. And you can just control that. Control those balls.
Okay. You don't afraid those, you know, balls. Well, yeah, I guess I'd never had any trouble.
Yeah. With the, you know, to aiming of the, the direction of the ball. Yeah. Cause actually
that's the, you know, the biggest, you know, barrier for beginners. I see. It's easier
just kick the balls. You don't have to, you know, it's just you, you kick the ball and
that's all. But you know, control the ball is kind of scary, difficult. But yeah, from
the beginning you did really better than I, you know, imagined. So that's, that's good
to hear. Yeah. I'm happy to hear that. I'm, I'm glad I got to, I got that feedback. Yeah.
Experienced soccer player. Yeah, I do. I do. So yeah. And also you looked like professionals.
Yeah. You've been saying that since day one. Right? I don't know why. Maybe you're like
my gym clothes. Yeah. Gym clothes. Gym clothes. My, yeah. I guess your legs. Yeah. Legs are,
you know, really muscle. Yeah. I don't know why I have such a muscular, where, where do
you call this? It's not the thigh, right? It's the, yeah. The, I don't know. I don't
know why where I got that muscle from, but I don't, people tell me that I have a very
muscular. Yeah. Fuku-ra-hagi. Yeah. So you got that fuku-ra-hagi in short pants and the,
you know, socks on it. What? It looks like like the professionals and yeah. I mean, that's
cool. Yeah. That's, that's good. Yeah. That's good. Yeah. Yeah. What about your days? My,
uh, yesterday. Yeah. I went to a wedding. I attended a wedding. Oh, Yamakane. Remember
Yamakane? Oh, recorded the video. Oh, how is that? We did not use that. Okay. Yeah.
There were a lot of things, you know, a lot of, yeah, like that and that video wasn't
used. Okay. So I'm sorry. No, no, no, no. It's better. I guess. Yeah. I thought, I thought
so too. Yeah. That's a great choice. Yeah. It was a good choice. Good for us too. Yeah.
Um, but, uh, uh, Yamakane, my good friend, the first friend that I made, uh, after first
coming here to Japan. Oh, that's important. High school. Yeah. He, uh, old friend of mine
and uh, got married. Uh, very, uh, very happy atmosphere. Great. Uh, came home back to my
house and realized that I have lost the key to my house somewhere along the wedding. It
was either, no, I, um, I got on a taxi. Okay. It was at a hotel, right? And I got in the
taxi. I remember getting my key out and then putting it in my pocket because like, Oh,
I'm probably gonna look for my key. Why don't I just put, put it in my pocket and put it
there. And that was the last time I remember seeing my key. It's dropped out. Maybe. Yeah.
Probably, um, it fell off, fell off, fell out of my pocket. Um, taxi and then train
and then walk from my station to my house. I, um, re-walked every step, but it wasn't
there. I called the taxi company. Uh, they said they couldn't find it. Oh, really? I
called the Jr company. They said they can find it. I went to the local police, uh, office
and they said they didn't have it. Okay. So, nope. How did you do that then after that?
Getting in, I, uh, I had to contact my Oya. Oh, yeah. And then he opened it for me. Oh,
but, uh, and I had a, I have a spare key. So that's, I'm living with my spare key, but
I don't have my, my first key. It's somewhere out there in the world. Okay. And, well, you
were lucky it wasn't like late night. Yeah, that's true. It was a 5 p.m. Oh, so right.
Yeah. Not so late. Yeah. Wow. So I had to walk around in my, my suits, right? I had
to go back to the station. I looked around everywhere and I walked around the Jr station.
I went all the way back to the wedding, kaijo, walked around there and it was all sweaty
and shit. Yeah. You couldn't even change. Right. The one day that I was wearing leather shoes.
Oh, the one day that I wore leather shoes is the time that I lost my key. That's unfortunate.
So bad. Yeah. I was happy, happy that my friend got married. Yeah, of course. All of a sudden
that that drop like devastation. Yeah. Yeah. Yeah. But, uh, yeah, I'll still be on the
lookout for my key. Yeah. Yeah. Okay. So you're going to give me a call if I find it. If you
find the key, please. Yeah. Give us a message. Right. D. D. M. E. The silver one. No, it's
not a silver one. It's actually a, uh, it's a card key. It's a card key. Yeah. If you
find a card key, there's so many DMD. M. E. Okay. And if you got it right, we'll DM you
back. Okay. And you can hand it to me. It's, it's likely that I lost it in, um, Tamachi
station. That's the wedding party. It's Tamachi station. And then after that I got on, uh,
that blue, blue, blue, blue. It's not Yamanote line. Ah, Keihin Tohokusen. Yeah. I got on
the Keihin Tohokusen line. Okay. So if you, if you happen to find that card key, DM me
and send me a picture and we'll, we'll verify. Yeah. Man. Or just go to the police station.
Yeah. Yeah. Or just go to the police station. Maybe that's better. Yeah. All right. Okay.
Thanks for listening guys. Thank you. Bye.

